Digestion of Agarose-Embedded DNA: Info for Specific Enzymes

Restriction endonuclease digestion of agarose-embedded DNA has proven to be a valuable tool in the physical mapping of chromosomes. To compare restriction endonuclease performance under controlled conditions, purified substrate DNAs (lambda, adenovirus-2) were embedded in 1% ImBed® low-melting-point agarose and subsequently digested. The results are presented below.

Substrate DNAs were embedded in 1% ImBed agarose (1 µg DNA/30 µl). The GelSyringe™ agarose- dispensing system was used to produce 30 µl agarose plugs. The agarose plugs were equilibrated in the recommended 1X NEBuffer by two 15 minute washes (100 µl each) and then incubated in 100 µl of fresh 1X NEBuffer plus 2, 5, or 20 units of enzyme for 2, 4 or 16 hours (total reaction volume of 130 µl). Most enzyme reactions were incubated at 37°C; thermophilic enzymes (D) were incubated at 50°C. After digestion, cold TE [10 mM Tris-HCl, 0.5 mM EDTA] was used to stop the reactions. The resulting digests were resolved on 1% agarose gels and compared to a standard digest (1 µg, 50 µl liquid reaction volume, 1 hour).

The values reported are the minimum units required for complete digestion. An asterisk (*) indicates that digestion was incomplete at that time point with the maximum number of units used in these tests (20 units). In some cases, the experiment was repeated after a 16 hour preincubation (at 4°C) to help diffuse the enzyme into the plug. Values in parentheses indicate the minimum units required for complete digestion after preincubation. It should also be noted that the actual number of units required for complete digestion will vary depending on the DNA substrate and its level of purity.

Limited enzyme diffusion into the agarose matrix may account for diminished enzyme performance on agarose-embedded DNA. To reduce this effect, plugs should be made with low-melting-point agarose at concentrations of 0.5-1.0%. A 16 hour preincubation of the reaction (at 4°C) is useful in cases where enzyme stability is compromised by incubation at 37°C for extended periods of time. Gentle mixing of the reaction has also been reported to aid in the diffusion of enzyme into the plug.

Enzyme Units For Complete Digestion
2 hours 4 Hours 16 Hours
AatII 20 20 20
AccI 5 2 2
AciI * *(20) *(20)
AflII 2 2 2
AflIII * * 2
AluI * 20 20
AlwI * * 2
AlwNI * 20 20
ApaI *(20) *(20) *(20)
ApaLI 2 2 2
AscI * 20 2
AseI * 5 2
AvaI * *(20) 20
AvaII 2 2 2
AvrII * 2 2
Enzyme Back to top Units For Complete Digestion
2 Hours 4 Hours 16 Hours
BamHI § 5 5 5
BanI 20 20 5
BanII 20 5 5
BbsI § 2 2 2
BbvI * * 5
BcgI * 5 5
BclI § * * *
BfaI 20 20 20
BglI * * 5
BpmI * * 20
BsaAI * * 20
BsaBI Δ * * 20
BsaHI 20 5 2
BsaJI Δ * 20 5
BsaWI Δ * 20 2
BsgI 20 5 5
BsiEI Δ 5 2 2
BsiHKAI Δ 2 2 2
BsiWI Δ § 20 20 2
BslI * 5 5
BsmAI * * 2
BsmFI 20 5 5
BsmI Δ * * 20
BspEI 20 2 2
BspHI * *(20) *(5)
Bsp1286I 5 5 2
BspMI * * 2
BsrBI * * 20
BsrDI * 20 2
BssHII 2 2 2
BstBI Δ 5 2 2
BstNI Δ * 5 2
BstUI Δ 20 20 20
BstXI 5 5 2
BstYI Δ 2 2 2
Bsu36I * 5 2
Enzyme Back to top Units For Complete Digestion
2 Hours 4 Hours 16 Hours
ClaI 20 5 5
Enzyme Back to top Units For Complete Digestion
2 Hours 4 Hours 16 Hours
DdeI 20 5 2
DpnI *(20) *(5) *(5)
DpnII 2 2 2
DraI *(20) *(20) *(20)
DrdI * * *
Enzyme Back to top Units For Complete Digestion
2 Hours 4 Hours 16 Hours
EaeI * * 20
EarI 20 20 5
EcoNI 20 20 20
EcoO109I * * *
EcoRI § * * 20
EcoRV § * 20 2
Enzyme Back to top Units For Complete Digestion
2 Hours 4 Hours 16 Hours
FokI 20 2 2
FspI 20 10 2
Enzyme Back to top Units For Complete Digestion
2 Hours 4 Hours 16 Hours
HaeII 20 20 2
HaeIII 20 20 20
HgaI * 20 20
HhaI 20 20 2
HinP1I 20 5 2
HincII * * 2
HindIII § * 20 20
HinfI * 2 2
HpaI * 20 20
HpaII 5 5 2
HphI 20 5 2
Enzyme Back to top Units For Complete Digestion
2 Hours 4 Hours 16 Hours
KasI * * *
Enzyme Back to top Units For Complete Digestion
2 Hours 4 Hours 16 Hours
MboI 2 2 2
MboII 2 2 2
MnlI 20 2 2
MscI *(20) *(5) *(5)
MseI 20 5 5
MslI * * 20
MspI * * *
MwoI Δ 20 2 2
Enzyme Back to top Units For Complete Digestion
2 Hours 4 Hours 16 Hours
NaeI 20 5 2
NarI 2 2 2
NciI 5 5 5
NcoI § 5 5 2
NdeI * * 20
NgoMIV 20 20 20
NheI-HF® 20 20 5
NlaIII * * 5
NlaIV 20 5 2
NotI § 10 2 2
NsiI § 20 5 5
Enzyme Back to top Units For Complete Digestion
2 Hours 4 Hours 16 Hours
PacI 20 5 2
PaeR7I 5 2 2
PflMI * * 2
PleI 20 5 2
PmeI 5 5 5
PmlI 2 2 2
PpuMI 5 5 5
PstI § 5 5 2
PvuII § 20 20 20
PvuII-HF® 20 20 20
Enzyme Back to top Units For Complete Digestion
2 Hours 4 Hours 16 Hours
RsaI 20 20 20
RsrII 10 5 2
Enzyme Back to top Units For Complete Digestion
2 Hours 4 Hours 16 Hours
SacII 5 5 2
SalI § 20 5 2
SalI-HF® 20 5 2
SapI * * 20
Sau3AI 20 5 2
Sau96I 20 20 5
ScaI-HF® * * *
ScrFI 20 20 20
SfaNI 25 5 2
SfcI * * 20
SfiI Δ 20 5 5
SmaI 20 20 20
SnaBI 20 2 2
SphI § * * *
SphI-HF® * * *
StuI 2 2 2
Enzyme Back to top Units For Complete Digestion
2 Hours 4 Hours 16 Hours
TaqI-v2 Δ * * *
TfiI Δ * 20 2
Tth111I Δ * * 5
Enzyme Back to top Units For Complete Digestion
2 Hours 4 Hours 16 Hours
XbaI * 5 2
XcmI * * 20
XhoI 20 20 20
XmaI * 5 2
XmnI * * 5

Calculated crystals from another source follow.
+++
Record 1
VASP calculation (PBE) on a relaxed CsO crystal.

Calculated values
Final energy: -3.51 eV per atom

Cell: 6.060 6.060 6.060 Å, 90.00 90.00 90.00°
Space group Fm-3m (No. 225)
One atom of each set of equivalent atoms:
Cs 0.000 0.000 0.000 x4
O 0.000 0.000 0.500 x4


Record 2
VASP calculation (PBE) on a relaxed Fe4Se3N2 crystal.

Calculated values
Energy above the most stable polymorph in this dataset: 0.1442 eV/atom

Cell: 6.576 11.823 3.113 Å, 90.00 90.00 90.00°
Space group Pnnm (No. 58)
One atom of each set of equivalent atoms:
Fe 0.191 0.065 0.000 x4
Fe 0.203 0.863 0.500 x4
Se 0.000 0.500 0.000 x2
Se 0.137 0.222 0.500 x4
N 0.098 0.921 0.000 x4

----------

(1)
U2BiN2 after structural relaxation. Source: the Materials Project, functional PBE-GGA.

Calculated values
DFT total energy   -45.9 eV per cell
Energy relative to the lowest polymorph listed for this composition   2.89 eV per formula unit

Cell lengths 6.1417, 6.1417, 6.1417 Å; angles 136.29, 136.29, 63.53 degrees
Positions (direct):
U 0.7500 0.2500 0.5000
U 0.2500 0.7500 0.5000
Bi 0.0000 0.0000 0.0000
N 0.7244 0.7244 0.0000
N 0.2756 0.2756 0.0000


(2)
SrNdEuSbO6 after structural relaxation. Source: the Materials Project, functional PBE-GGA.

Calculated values
DFT total energy   -75.6 eV per cell
Energy relative to the lowest polymorph listed for this composition   0.99 eV per formula unit

Cell lengths 6.0542, 6.0542, 6.0542 Å; angles 60.00, 60.00, 60.00 degrees
Positions (direct):
Sr 0.7500 0.7500 0.7500
Nd 0.0000 0.0000 0.0000
Eu 0.2500 0.2500 0.2500
Sb 0.5000 0.5000 0.5000
O 0.7330 0.2670 0.2670
O 0.2670 0.7330 0.7330
O 0.7330 0.2670 0.7330
O 0.2670 0.7330 0.2670
O 0.7330 0.7330 0.2670
O 0.2670 0.2670 0.7330
+++

§ A HF version of this enzyme is available.
HF® is a registered trademark of New England Biolabs, Inc.